- - -
P | Entry from the Open Molecules 2025 dataset: an isolated molecule of C4H5Cl (the ωB97M-V functional and the def2-TZVPD basis).

XYZ file:
```
10
C4H5Cl | the Open Molecules 2025 dataset | the ωB97M-V functional and the def2-TZVPD basis
Cl -1.614 -1.533 1.766
C 0.180 -0.393 -0.218
H 2.113 1.722 0.845
H 0.404 -0.426 -1.324
H -1.975 -0.814 -0.230
C 0.663 0.770 0.146
H 1.248 2.211 -0.875
C 1.251 1.941 0.296
H -1.192 -2.173 -0.453
C -1.079 -1.305 0.047
```

Summary:
molecular weight	88.54	g mol⁻¹

Atomic partial charges in e from the natural (NBO) method, atoms 1 to 2:
1. Cl -0.08
2. C -0.40


Q | Entry from the Open Molecules 2025 dataset: an isolated molecule of C4H5Cl (the ωB97M-V functional and the def2-TZVPD basis).

XYZ file:
```
10
C4H5Cl | the Open Molecules 2025 dataset | the ωB97M-V functional and the def2-TZVPD basis
C 0.426 0.126 -0.474
C 0.088 -1.169 -0.032
H -1.372 1.153 0.110
H -0.564 -3.180 0.584
H -0.261 1.183 1.242
C -0.227 -2.240 0.397
C -0.382 1.209 0.162
Cl 2.189 0.504 -0.225
H -0.136 2.197 -0.171
H 0.238 0.216 -1.592
```

Summary:
molecular weight	88.54	g mol⁻¹

Atomic partial charges in e from the natural (NBO) method, atoms 1 to 2:
1. C -0.26
2. C -0.02


Relative energies, unit kJ/mol: P 204.3; Q 0.0


P | Entry from the Open Molecules 2025 dataset: an isolated molecule of C2H4N2OS (the ωB97M-V functional and the def2-TZVPD basis).

XYZ file:
```
10
C2H4N2OS | the Open Molecules 2025 dataset | the ωB97M-V functional and the def2-TZVPD basis
C 1.199 -1.080 0.028
H -1.236 1.368 0.061
S 0.055 1.402 0.072
C -1.165 -1.000 0.098
O -2.253 -0.372 -0.231
H 3.259 -0.568 0.100
H -1.015 -2.044 0.671
N 2.168 -0.221 -0.229
H 1.150 -2.122 0.176
N -0.055 -0.296 0.078
```

Summary:
molecular weight	104.13	g mol⁻¹

Atomic partial charges in e from the natural (NBO) method, atoms 1 to 2:
1. C 0.26
2. H 0.14


Q | Entry from the Open Molecules 2025 dataset: a structure of composition C2H4N2OS (the ωB97M-V functional and the def2-TZVPD basis).

XYZ file:
```
10
C2H4N2OS | the Open Molecules 2025 dataset | the ωB97M-V functional and the def2-TZVPD basis
H 4.012 -0.863 -0.079
N -1.193 -1.352 0.039
S 0.188 -0.517 0.122
H 3.686 0.723 0.312
C -2.196 -0.496 -0.118
H -2.283 1.800 -0.016
O 3.341 -0.117 -0.086
N -0.541 0.979 0.131
H -3.210 -0.981 -0.297
C -1.804 0.824 -0.010
```

Summary:
molecular weight	104.13	g mol⁻¹

Atomic partial charges in e from the natural (NBO) method, atoms 1 to 2:
1. H 0.49
2. N -0.60


R | Entry from the Open Molecules 2025 dataset: an isolated molecule of C2H4N2OS (the ωB97M-V functional and the def2-TZVPD basis).

XYZ file:
```
10
C2H4N2OS | the Open Molecules 2025 dataset | the ωB97M-V functional and the def2-TZVPD basis
S -0.917 -2.024 -0.087
H 2.548 0.553 -0.363
N -1.720 0.500 0.099
N 0.525 0.266 -0.186
H -1.531 1.383 0.561
O 2.141 -1.349 0.238
C 1.816 -0.242 -0.081
H 0.470 1.241 -0.422
H -2.646 0.065 0.268
C -0.686 -0.392 -0.028
```

Summary:
molecular weight	104.13	g mol⁻¹

Atomic partial charges in e from the natural (NBO) method, atoms 1 to 2:
1. S -0.12
2. H 0.11


Relative energies, unit kJ/mol: P 285.6; Q 103.5; R 0.0


P | Entry from the Open Molecules 2025 dataset: a cluster of 5 separate species, C2H15NO5 in total (the ωB97M-V functional and the def2-TZVPD basis).

XYZ file:
```
23
C2H15NO5 | the Open Molecules 2025 dataset | the ωB97M-V functional and the def2-TZVPD basis
O -2.998 -2.651 -2.167
H 2.463 0.839 0.694
C 1.522 1.122 1.110
H -0.722 3.224 -1.639
C 1.475 0.097 2.276
H 2.698 -1.266 1.601
N 0.418 0.800 0.166
H 0.409 0.236 2.666
H -2.096 -2.604 -1.726
H -2.633 0.039 1.103
O 0.063 2.592 -1.733
H 0.383 2.387 -0.890
H -2.287 -1.524 1.289
O 1.756 -1.236 1.918
H 0.181 -0.489 -3.453
H 0.498 0.084 -0.482
H 0.392 0.022 -2.001
H 2.189 0.384 3.029
O 0.609 -0.733 -2.569
H -3.398 -3.539 -2.256
H 1.475 2.205 1.337
O -1.944 -0.556 1.043
H -0.454 0.567 0.683
```

Summary:
molecular weight	133.14	g mol⁻¹

Atomic partial charges in e from the natural (NBO) method, atoms 1 to 2:
1. O -0.98
2. H 0.18
- - -

Return only the lines above with the word "Entry" in them.

P | Entry from the Open Molecules 2025 dataset: an isolated molecule of C4H5Cl (the ωB97M-V functional and the def2-TZVPD basis).
Q | Entry from the Open Molecules 2025 dataset: an isolated molecule of C4H5Cl (the ωB97M-V functional and the def2-TZVPD basis).
P | Entry from the Open Molecules 2025 dataset: an isolated molecule of C2H4N2OS (the ωB97M-V functional and the def2-TZVPD basis).
Q | Entry from the Open Molecules 2025 dataset: a structure of composition C2H4N2OS (the ωB97M-V functional and the def2-TZVPD basis).
R | Entry from the Open Molecules 2025 dataset: an isolated molecule of C2H4N2OS (the ωB97M-V functional and the def2-TZVPD basis).
P | Entry from the Open Molecules 2025 dataset: a cluster of 5 separate species, C2H15NO5 in total (the ωB97M-V functional and the def2-TZVPD basis).